An Interview with Media Mogul, Linda Ikeji
Linda Ifeoma Ikeji is a woman that needs no introduction. By 2006, she was well on her way to conquering the online publishing space with her ground shaking blog, While blogging may be a normal concept in 2019, back in 2006 blogging was not considered a ‘suitable’ career choice most Africans. This infamous blog has transformed the way Africans, specifically, Nigerians consume entertainment news and has forever imprinted the Nigerian media ecosystem.
Lehlé Baldé caught up with her at her gorgeous home in Banana Island, Ikoyi Lagos where she opened up about how it all started, her success, being a working mother, new business ventures and everything in between.
Linda Ikeji with Lehlé Baldé
When you started blogging in 2006, you did so when blogging was still unfamiliar territory for many in Nigeria, what inspired you to start?
Growing up I wanted to be a journalist, I applied for Mass communication In University but was placed in English. I have always had a passion for journalism and being the one to break the news. My role models at the time were AbikeDabiri, Frank Oliseh, FunmiIyanda. I realized then that my passion was to write and to be a news bearer. When I discovered blogging, I saw that it was the next best thing to journalism because it gives you a platform to put out something others can read and it was born from that. Before then, I was a columnist for magazines, writing strictly on fashion, modeling, and beauty because I had a background in modeling. When I started blogging, what was common at the time was personal blogs, where people talked about themselves and what was happening with their lives, there wasn’t really any solid gossip blog.
I started my blog as a personal blog and that’s why I named it Linda Ikeji. The blogging community was a small community and we all used to go to each other’s blogs to comment with our names. I also discovered Paris Hilton which was the biggest blog in the US at the time and I started reading his blog and got obsessed with it and then I told myself, why can’t I do something similar? So, I put gossip on my blog and the reaction to that news was more than I expected, people were far more interested in it more than the other things I had put on it. I normally would get 300 views on my stories but with the gossip news I got over 3000 views! I received 10 times more comments, my reach immediately went beyond my community of bloggers and I discovered this was what people want to read and hear!
I went on to mix up the news with my personal gist and entertainment news and that increased the engagement with my blog. I realized this is really what I should be doing. One way I could get the news was to get the gossip tabloids and magazines in Nigeria like Encomium and City People. I would buy them, find interesting stories and put it on my blog and of course credit them.
When you started did you understand the commercial value of the Linda Ikeji blog?
Absolutely not. It took me four years before I realized it was possible to make money from it. My passion for blogging kept me going. I had a business named ‘Black book communications’, which was my source of livelihood. I didn’t think that blogging would make me money. Blogging was born out of passion, it was what I always wanted to do growing up. What kept me going were the comments I read and the people who were eagerly waiting to read new gossip news on my blog. It kept growing gradually from 20k to 30k visits and it was very exciting, It kept me going. Then the next thing was when I was asked to send rate cards for adverts!
When did you realize the blog was successful, what was your light bulb moment?
It was in 2012. I started making money in late 2010 which was a one-off. Early in 2011 was when I started making more money and advertisers started seeing my blog as a channel to advertise and the rest is history. I started having a few million in my account and that was the first time I ever had that much money in my account. I was hesitant about spending just in case the income stopped. I was apprehensive because it was all so new. A year after that, it tripled and in 2012, I was like “WHAT?!” Then I realized it was all going to get better going forward.
After Google, Facebook and Wikipedia, is the most visited site in Nigeria. How does that make you feel?
I never thought it would happen that way. It makes me feel good that after all these years, people are still interested in my blog. There has been a shift to Instagram and bloggers who started during my time have moved to Instagram too, but I’m still very fortunate to still have my dedicated followers and readers for over a decade. People say my readers have reduced, they only think so. The numbers are still as strong and I am overwhelmed with that. People have been loyal to my blog.
You have diversified the Linda Ikeji brand to TV and more recently Digital Marketing… are your career moves strategically filling a market gap or are your business moves ad-hoc?
I think my ideas always come from my vision and where I see a need or where I think I will be successful. For years, a lot of Digital Marketing agencies contacted me when they wanted to run campaigns, etc. Some brands come directly to me and ask me to put content on not only my blog but other blogs as well, as kind of a PR/marketing agency. We would always have to refer them to other agencies to do that because that was not our focus. Our focus was on blogging and creating amazing content. Recently, someone approached my business to market their product on our platform. We gave him a budget and then he asked if we could give the budget for other blogs. We couldn’t do that because we had a lot on our hands. We recommended a PR person but he wanted a Digital Agency instead. He went to do the job and he told me how much he paid. He then told me he thinks it would make sense for me to open my own agency, he told me all I needed to do was employ the experts and leverage on the name I have built. He became my first client and now Linda Ikeji digital Marketing agency has quite a number of clients.
I think my ideas always come from my vision and where I see a need or where I think I will be successful
You took many people by storm with your Linda Ikeji TV launch last year. Who is the average watcher of Linda Ikeji TV? Who are your subscribers?
Surprisingly I thought we would have more customers living in the diaspora in comparison to people living in Nigeria, but that is not the case. The predominance of our subscriber base comes from Nigeria, then the US, the UK, Canada and Ghana. Our consistent subscribers are in their 30s and 40s. The younger ones are not as consistent in subscribing as the older ones but we are creating more youth-friendly content to for the millennials out there!
What has been the most viewed content on Linda Ikeji TV?
Oyinbo wives of Lagos is the most viewed show. It is followed by Tonto Dike, then Gidi Girls then Toyin Abraham. I started thinking of a reality show I would like to watch. The Oyinbo wives came to me because my sister Laura knows quite a number of them and is friends with some. I talked about putting them together and making a reality show about their lives. They are quite dramatic in real life, and they are as real as what you see on the reality show. We will be auditioning for more reality shows soon, they are the most watched on our platforms. We are currently coming up with more shows and more controversial reality shows
-- Between two parts of the page: calculated molecules --
# 1
This record from the Open Molecules 2025 dataset describes a molecular structure, C41H72F12FeMnN2O38S4 in a non-equilibrium geometry. The level of theory is ωB97M-V/def2-TZVPD.

```
171
Properties=species:S:1:pos:R:3:forces:R:3
Fe 1.612565 -1.407260 1.656783 -1.4 0.4 -0.6
Mn 0.840025 2.732580 0.466523 0.9 -1.5 -1.4
C 4.261965 -0.108890 4.621083 -0.1 0.9 -0.6
F 4.489875 -1.144620 5.429893 0.3 1.2 -0.5
F 3.027525 0.320730 4.787393 -0.2 -0.1 0.3
F 5.085655 0.971730 4.840833 -0.5 -1.9 -0.1
S 4.381405 -0.586300 2.766683 1.3 0.1 -2.5
O 3.800995 0.428400 1.890463 0.0 -1.0 1.8
O 5.787285 -0.883120 2.460433 -2.3 0.5 0.8
N 3.284555 -1.943420 2.661083 3.0 3.0 0.9
S 4.161705 -3.217550 2.912603 3.1 -3.5 0.4
O 4.407305 -4.015060 1.712373 -1.1 0.7 1.0
O 5.366365 -3.069040 3.740813 -2.3 0.1 -0.7
C 3.001425 -4.172190 4.041273 0.8 -0.5 0.2
F 2.143905 -3.387750 4.679543 0.2 0.1 0.2
F 2.335565 -5.080320 3.375383 -1.0 -0.8 -0.9
F 3.718385 -4.877230 4.924683 0.2 0.6 0.3
C -1.923375 5.439150 1.633893 0.6 -1.0 1.1
F -1.764665 4.982690 0.391003 -0.2 0.6 0.0
F -1.148895 6.539370 1.836153 -1.3 -1.1 -0.4
F -3.212705 5.682310 1.893493 1.0 0.4 -0.5
S -1.470485 3.979870 2.814173 -2.6 -0.6 -0.4
O -1.500355 4.574570 4.135683 1.1 -0.1 -1.2
O -2.546335 2.989140 2.601463 2.7 1.5 -0.5
N 0.147455 3.513690 2.184543 -4.6 2.0 2.0
S 0.953795 3.301860 3.503543 5.5 -3.5 1.7
O 0.323415 2.523720 4.543583 -0.6 1.2 -0.3
O 2.242865 2.650640 3.108773 -2.3 2.4 0.2
C 1.388145 5.104830 4.160423 0.2 -1.7 0.9
F 0.983565 5.257550 5.421293 0.3 -0.2 -0.4
F 2.691075 5.303070 4.070033 1.0 -0.7 0.5
F 0.889625 6.026080 3.417153 -1.7 1.4 -1.3
C 0.006785 0.247550 0.550143 -2.1 -0.1 -3.0
O -0.212315 -0.963290 0.584573 -3.2 -3.8 -0.8
O -0.526865 1.207060 -0.087757 -2.4 0.8 -1.1
O 1.031235 0.527840 1.101493 7.7 3.8 4.7
C 5.684765 1.192110 -1.633307 -0.2 0.1 1.1
C 5.250885 2.644770 -1.716527 0.9 -0.3 0.6
O 4.145815 2.706270 -2.627837 -0.2 1.2 -0.4
C 2.889635 2.545180 -2.205537 0.2 -2.2 -0.5
O 2.543315 2.315810 -1.058397 0.3 0.7 -1.3
O 2.067045 2.333110 -3.282007 -0.1 0.7 0.8
C 2.478535 2.663410 -4.643687 0.6 0.4 1.0
H 6.026215 0.697930 -2.542867 -0.4 0.4 -0.3
H 4.827855 0.693860 -1.179947 0.2 -0.6 -0.1
H 6.528775 1.098470 -0.949947 -0.1 0.1 0.3
H 6.107215 3.264460 -1.982577 -0.4 0.2 -1.2
H 5.011445 3.105810 -0.758297 -0.6 -0.6 0.2
H 1.670255 2.399980 -5.325867 0.1 -0.2 0.4
H 3.426645 2.175500 -4.869837 -0.3 -0.2 -0.2
H 2.661325 3.737150 -4.685827 -0.1 0.0 -0.1
C 1.537215 -5.342450 -1.829427 -0.9 -1.5 0.7
C 1.840945 -5.439490 -0.355007 2.2 1.2 -1.1
O 0.655365 -5.464000 0.386153 -0.7 -0.7 0.7
C 0.495575 -4.582820 1.321693 0.3 3.6 2.7
O 1.199615 -3.560740 1.526783 -1.7 -2.6 -0.9
O -0.549215 -4.880640 2.125233 0.1 -0.8 -2.3
C -0.984485 -3.948210 3.098443 0.5 0.1 1.1
H 0.955565 -4.459220 -2.093427 0.7 0.4 -0.2
H 0.841205 -6.158340 -2.024347 0.0 -0.2 -0.4
H 2.475275 -5.597380 -2.322527 -0.2 0.7 -0.6
H 2.501075 -4.610420 -0.100137 -0.5 0.4 0.5
H 2.509845 -6.276720 -0.155717 -0.7 -0.6 0.3
What made you decide to introduce the American style reality shows to Nigeria?
That’s what people like watching, I wanted to do the Nigerian version of what has been tested and tried in other markets. I wanted to try something no one has done here. Something totally different. There are Iroko TV, Africa Magic and other platforms people can watch. I thought having reality shows would be different.
What other kinds of content do you have in the works?
We are going to be doing documentaries on events like the Aluu 4, the Ogboni 6, events that have shaped the history and forecast of Nigeria. As well as docu-series on important historical events, incidents, people and things about Nigeria people don’t know exist.
What is your process going from ideation to execution? Many people are full of ideas but those ideas never actualize...
Once I think of something, I get experts on that topic, ask opinions and get details. After several strategy sessions, we build a team dedicated to executing. For example, we have a number of people who have traveled to the eastern part of the country to cover some stories on cultural events there for our docu-series. They use what they have to get good content and then come back to build it into what can be aired.
Question on Self-made celebrities: What advise do you have for entrepreneurs on staying consistent?
One of the most difficult thing when pursuing success is patience. Something many don’t have is the belief that something can be great. They get frustrated with things like failure, lack of support, lack of funds, trials upon trials and then give up. Five years in, they give up. Most people can’t handle the challenges of entrepreneurship and later tell themselves: “this is not for me”. One of the things I tell people is, you have to be patient because eventually, it will work it. It might take 5 years, it might take 10 years, it might take 15 years, it will happen. Not so many people have the patience to get to that point. It took me 4 years to start making money; it took me 14 years to break out of the hustle. Patience is a virtue. You have to be consistent, you have to be hard working, you have to believe. If you are hardworking and don’t believe in what you are doing and in God, you are wasting your time. Tell yourself “I am not doing this in vain, there is absolutely no way God will not Bless me at the end of the day, I just have to be patient, I just have to continue doing what I am doing because I am heading somewhere and I will get there even if I can’t see the end yet”.
It’s so sweet to watch you with your son Jaden. How have you balanced parenting and a very busy work schedule?
I have a good support system; I have my family with me. Having a child is a dream come true for me. I have always wanted to be a Mom. Since I had my son, Jaden, I have moved my office to my house and work has been equally effective. Fortunately, my business has been online so I don’t have to be there physically. I moved my meetings to my house or we talk on the phone. He is six months now but once he is 9 months old, we would go to the office every day. He is a big source of inspiration for me.
Your aura exudes strength, where does your inner strength come from?
I think it’s the kind of woman I am and my experiences growing up. I just wanted to be successful and not depend on anyone. I didn’t want to chase any man. I wanted to leave my footprint. I wanted people to know I existed, I wasn’t to matter, I wanted my work to matter, I wanted to have an impact and I can only do that through my work and not necessarily through my kind of husband or family. It is through my work that people will remember me. It was important for me to find something I love and be good at it. I do a lot of motivational speaking and literature writing to encourage other people. I let them know it wasn’t easy for me but here I am. I don’t see myself as successful; I believe there is more success. Someone told me about writing a biography and I refused. I am not there yet. For me, the sky is only the starting point. I mentor young female entrepreneurs and help them with their businesses anyway that I can. We will have another meeting soon. I am passionate about women. I want more women to be financially independent. I want them breaking the tables and have more opportunities for growth. I asked a man recently why 80% of his staff are men. He said men are the head of the family so they need the money more than the women; they need to provide for their wives and kids. I told him that in 2019, there are more women who now provide for the family. We are no more in the 60s and 70s where women are only concerned about being someone’s wife. This generation is breaking boundaries and following their dreams, they have bills to pay and families to take care of also.
At the start of your career, what things do you wish you would you have known?
I don’t pay attention to the negativity. It has helped me become what I am today. Your opinion doesn’t matter as long as it’s negative. I don’t care what you think; I don’t care how you think it. I believe I am being guided by God and the decisions I make whether wrong or right has brought me to where I am and I am good at where I am now. When I started blogging, they would call me derogative names, define my work, almost want me to feel inferior to them until I got the house I live in then the narrative changed. I don’t allow negativity into my life, I don’t allow negativity into my work, and no one should speak it into my life. I am glad I did not pay attention to nay-sayers because I would have stopped. I proudly call myself a blogger.
How do you see the growth of entrepreneurs in tech?
### Data records, as found in the file
Here is C42H60N7OSSi2Y as an isolated structure from the OMol25 dataset. Energies are from ωB97M-V/def2-TZVPD.

Output
Kohn-Sham gap = 5.7591 eV
LUMO = -0.5 eV
ΔE to the lowest compared entry with this formula, charge and spin = 3.8 kcal per mole
Total energy = -3110.691180 Eh
Spin multiplicity = 1
Highest occupied orbital energy = -6.27 eV

XYZ file:
```
114
C42H60N7OSSi2Y, DFT ωB97M-V/def2-TZVPD
Y 0.11 0.05 0.38
C 3.55 -0.18 -3.09
C 3.00 0.50 -4.17
C 1.80 1.16 -3.99
C 1.17 1.11 -2.74
N 1.69 0.42 -1.72
C 2.86 -0.19 -1.89
C -0.14 1.75 -2.54
C -0.51 2.88 -3.27
C -1.81 3.34 -3.20
C -2.72 2.63 -2.43
C -2.26 1.57 -1.68
N -1.00 1.15 -1.70
H 4.49 -0.70 -3.18
H 3.50 0.50 -5.13
H 1.33 1.67 -4.82
H 3.25 -0.71 -1.02
H 0.22 3.40 -3.87
H -2.11 4.22 -3.76
H -3.77 2.91 -2.39
H -2.94 1.00 -1.06
C -1.05 -4.50 -1.83
Si -0.26 -2.73 -1.94
C -1.70 -1.65 -2.58
C 0.97 -2.87 -3.42
N 0.42 -2.03 -0.53
C 1.52 -2.61 0.09
C 1.87 -3.95 -0.13
C 2.98 -4.55 0.44
C 3.82 -3.79 1.23
C 3.51 -2.47 1.48
C 2.35 -1.86 1.00
N 2.00 -0.58 1.38
Si 2.88 0.29 2.60
C 4.56 1.02 2.00
C 3.28 -0.71 4.20
C 1.82 1.78 3.16
H -1.87 -4.62 -2.53
H -1.43 -4.73 -0.83
H -0.32 -5.27 -2.07
H -2.36 -2.23 -3.22
H -1.34 -0.82 -3.17
H -2.30 -1.25 -1.77
H 0.74 -3.72 -4.06
H 1.99 -3.01 -3.07
H 0.96 -1.98 -4.04
H 1.24 -4.53 -0.77
H 3.18 -5.59 0.26
H 4.72 -4.22 1.65
H 4.18 -1.89 2.09
H 5.29 0.26 1.75
H 4.99 1.64 2.78
H 4.43 1.65 1.12
H 3.04 -1.76 4.11
H 2.74 -0.33 5.07
H 4.34 -0.65 4.43
H 2.02 2.66 2.57
H 2.03 2.03 4.19
H 0.76 1.55 3.08
C 3.38 3.68 -1.02
C 2.05 3.97 -0.37
C 1.65 5.29 -0.19
C 0.42 5.56 0.40
C 0.02 6.99 0.66
C -0.41 4.53 0.78
C -0.04 3.18 0.67
C 1.23 2.95 0.07
N -0.75 2.08 1.08
C -1.90 2.26 1.98
C -2.25 0.87 2.54
C -3.18 2.77 1.27
C -1.57 3.17 3.19
H 4.17 4.22 -0.52
H 3.37 4.00 -2.06
H 3.61 2.62 -0.99
H 2.31 6.10 -0.46
H 0.48 7.67 -0.06
H 0.35 7.28 1.66
H -1.06 7.11 0.61
H -1.36 4.81 1.22
H 1.60 1.93 0.05
H -2.45 0.17 1.72
H -3.15 0.94 3.15
H -1.44 0.48 3.17
H -3.66 1.95 0.74
H -2.95 3.56 0.56
H -3.89 3.15 2.01
H -0.50 3.31 3.28
H -1.93 2.73 4.11
H -2.03 4.15 3.11
S -4.27 -1.00 0.07
C -4.88 -1.89 -1.19
N -4.33 -3.14 -1.42
C -4.75 -3.92 -2.44
C -5.76 -3.48 -3.24
C -6.29 -2.21 -2.95
N -5.86 -1.45 -1.97
H -3.53 -3.42 -0.86
H -4.26 -4.87 -2.57
H -6.14 -4.08 -4.05
H -7.09 -1.79 -3.55
C -1.04 -4.22 2.21
C 0.15 -3.87 3.12
C -0.04 -2.37 3.38
O -0.71 -1.86 2.23
C -1.65 -2.86 1.84
H -1.77 -4.85 2.72
H -0.68 -4.74 1.32
H 1.08 -4.05 2.60
H 0.14 -4.44 4.05
H 0.90 -1.82 3.47
H -0.66 -2.19 4.27
H -1.82 -2.73 0.77
H -2.59 -2.69 2.38
```

Mulliken atomic charge list, values in e, 6 entries: atom 1 (Y): -1.620, atom 2 (C): -0.971, atom 3 (C): -1.078, atom 4 (C): -0.831, atom 5 (C): 0.176, atom 6 (N): 2.303

***

Here is C42H61AsIN9O7PS3 as an isolated structure from the OMol25 dataset. Energies are from ωB97M-V/def2-TZVPD.

Output
Kohn-Sham gap = 6.6937 eV
LUMO = 1.6 eV
Net charge = -1
Total energy = -6725.852486 Eh
Spin multiplicity = 1
Highest occupied orbital energy = -5.14 eV

XYZ file:
```
125
It’s growing. With what is happening now, I keep telling people there is no excuse being broke; there is no excuse not to be successful. Technology and social media have made things easy for us. Now, you have access to customers and clients and it depends on how you sell your products and services. Now you need to think. Earlier, you needed an extra effort in telling people what you are selling but now, there are platforms where people are and you can tell them about what you are selling. Are you putting out the right things or selling the right things? Technology has now made the world smaller. I can get things from different parts of the world faster than how it used to be. Entrepreneurs need to start thinking smarter, doing things right and finding the right channel to sell our products and services.
On managing relationships with clients, what’s your advice?
As a creative, I got a business manager to deal with it. If a customer has a bad experience with your brand, they will not come back. One of the best forms of advertising is word of mouth. Word of mouth is very powerful. Be wise about how to treat your clients. The customers are always right. The business has something to lose, not the client. For example, an agency comes to do business with me promising to pay me after a month and they don’t pay as promised, we continue to the second month and the third month, it would seem right for me to call them out on my blog. Here is what will happen on the flip side, other agencies would avoid me because they don’t want to be a victim of that behavior. They might not even know who the initial client is but I could miss potential clients because of that.
What are your top tips for success?
Hard Work: I know that is the most common thing people say, but that’s the most important of it all. You have to work hard at whatever it is you want to do.
Patience: That’s something a lot of us lack, we give up on our way to success, because many don’t believe in the process. You have to believe that ultimately, eventually (always remember the word “eventually”) all things will work out. A lot of people just don’t, halfway through the journey, mid-way through the journey, even when they are close to the destination they give-up, so patience is a virtue, patience is very important.
Faith: You have to have faith in the process, in what you do, in God, in yourself, and believe it’s going to work out eventually. It’s just like the saying, ‘work without faith is just a waste of time’. You have to believe that your journey is going to end positively. You have to have faith because it is that faith keeps you going.
Surround yourself with positive people. Stay away from people who have nothing to say but destroy your dreams, people who don’t believe in themselves will never believe in you and in their mind, if they feel they can’t do it, you also cannot. It’s important to stay away from people who don’t believe in you. You should run from people who have nothing good to say about anything. Surround yourself with successful people, so you can learn from them.
Find a role model. Find someone who has done so well in an industry that you are interested in, read about them, find out the things they did to get to where they are. If it’s in the media, or acting, or whatever industry it is that you have a passion for, find somebody in that industry who has done tremendously well. If you can find them to mentor you, fine, if you can’t find them directly, find out as much as you can about their journey and how they got to where they are so you can learn from them.
Read a lot if you can, I’ve read about all the richest people in the world and how they got to where they are, self-made people. Not people that inherited what they have, but people who struggled, people that went from nothing to something. For instance, my ultimate role model is Tyler Perry, I know people would expect me to say Oprah, but it’s Tyler Perry because he went from been homeless to having a private jet and an island in 10 years. Learning about his journey makes me believe impossible is nothing, we have to believe that there is absolutely nothing you cannot do.
What can we expect from you in 2019?
Well, the blog has been there for 12 years, it’s thriving and doing well, so currently my focus is on Linda Ikeji TV. For the digital agency, it’s just new, I have my employees who are doing very great work there but my primary focus is the Linda Ikeji TV, the online platform that I launched last year. In 2019, expect to see amazing content and phenomenal pieces of work. This is the kind of content that you haven’t seen on TV before. From unique documentaries, reality shows and very soon, blockbuster movies on the platform. There is so much I have working for 2019 TV content.
When it’s all said and done, what will be the Linda Ikeji legacy?
When it’s all said and done, people will know I was here, that’s basically it. I want people to know Linda Ikeji existed and she made an impact on society, the community and the world. And I hope that people will hear my story which is why I share it a lot. There is still so much that I’m going to say, there is still so much that has happened in my life that I’m going to share, and I hope people learn from. I think that the things that happened to me, happened for a reason because I’m not afraid to share and let people into my life and I hope that with my life and my story and experiences, people can learn from it and do better or do as great or as much as I have or even better.
I want to leave my footprint in the sands of time.
(This interview was done by Lehlé Baldé in her capacity as Editor of Businessday’s The CEO Magazine)